Wednesday, December 28, 2016

Where Does Logic Come From?

It is one of the axioms of theistic thinking that logic, or more specifically, the rules and axioms of logic, come from God.  This is the underlying assumption in certain theistic arguments, and it was the basis of the Lord of Non-Contradiction theistic argument that I discussed in a recent post.  In fact, the notion that rational thought can only be the product of a divine thinker who somehow endows the human soul with his rational faculty is pervasive in theistic philosophy.  But this idea has no justification.  It is merely a presumption that theists make.

Saturday, December 24, 2016

It's The Evidence, Stupid

Oh, brother.  Victor Reppert has done it again.  Yet another post that seems to expose a profound ignorance of the epistemological basis for rejecting belief in God.  This man is a PhD philosopher, for Christ's sake, and he apparently has no clue why a reasonable person should not be a believer.  Instead, he echoes the mindless religionism of Dr. Andy Bannister, who makes this ridiculous straw man:
You think that my denial of Sweden is an actual claim of some kind, that it's a belief. But it isn't. It's a non-belief. There's nothing I need to explain–rather, I'm talking about something I lack, namely a belief in Sweden, so I don't need to give any evidence for it.

I don't have to provide evidence for my non-belief in Atlantis, El Dorado, Shangri-La, or the Customer Support Department at American Airlines, and nor need I for my non-belief in Sweden. I'm not making a claim of any kind–in fact, just the opposite: I'm claiming nothing. I'm merely rejecting one your  beliefs, your belief in Sweden.

Wednesday, December 21, 2016

The Butchering of Jean-Paul Sartre

I was browsing the articles at Christian Cadre, and saw the latest from Joe Hinman, which purports to answer the objection that atheists sometimes raise to the Teleological Argument for God: if the complexity of the universe requires an intelligent and purposeful creator, then why shouldn't God?  And who is that creator?  His answer is the usual theistic pablum: God is love, and that explains everything.  Well, it really doesn't, but this is the kind of meaningless starry-eyed theistic drivel we have come to expect from people like Hinman.  I was about to move on to other articles that might prove to be more worthy of my time, but then I came to the end of Hinman's piece, where he wraps up by quoting from the SEP on Jean-Paul Sartre to drive his point home.  Hinman was using Sartre's ontological duality of in-itself/for-itself as an example of the difference between things that exist apart from God, and God's loving and purposeful act of creation.  What?  That can't be what Sartre meant, can it?

Saturday, December 17, 2016

Why Philosophy of Religion Should End

Victor Reppert recently pointed out an argument for the existence of God that strikes me as nothing more than insipid.  It appears to be a variant of the Argument From Reason, which Victor himself has championed, and made the centerpiece of his career.  This variant is described as an Argument From the Laws of Logic, and it uses essentially the same fundamental reasoning the AFR uses.  It was published by James Anderson and Greg Welty with the title The Lord of Non-Contradiction: An Argument for God from Logic.  And like the AFR, it is based on unsubstantiated assumptions.  It may serve to rationalize a priori beliefs of the faithful, but from the perspective of a non-believer, it is utterly worthless as a rational argument.

Tuesday, December 13, 2016

Dawkins' Argument from Simplicity???

I was amazed to see this stunning post by Victor Reppert:
What Dawkins argues is that a real explanation explains that which is more complex in terms of that which is simpler. Explanations of anything in terms of God necessarily explains things in terms of that which is still more complex, and so such explanations are nonstarters, since they fail to explain the more complex in terms of the less complex.

The logic of this position is that evidence for God is impossible, for if there were evidence of God, it would provide us with an explanation of the more complex in terms of the less complex. But this is impossible by definition. The search for such evidence is doomed at the start. - Reppert
First, a little background.  Dawkins was commenting on the theistic teleological arguments for the existence of God.  These arguments generally state that the universe or things within it exhibit a complexity or functionality that couldn't possibly be achieved by any accident of nature, and therefore must be the result of an intelligent designer.  This kind of argument is supposedly empirically based.  If we observe that human designers create things that have complexity or functionality that nature doesn't produce on its own, we might then reason that there must be a God who has designed many of the things we see in our world, including human beings, who possess the most complex thing known to us - our brain, which is responsible for our own intelligence.

Friday, December 9, 2016

Reppert and the Principle of Charity

What would you think if a child brought home a report card with a B grade on it, and his father told him that he was stupid and he would never amount to anything?  I think many people would agree with me that the parent is being abusive, and that his behavior could potentially be damaging to the child, especially if that was part of a pattern that persisted throughout the son's childhood years.  What should we do about this parent?  Take the child away from him?  Lock him up in prison?  I don't think so.  The parent has broken no laws.  Some of us may not like the way he treats his child, but he is within his rights as a parent.

Monday, December 5, 2016

Responding to Hinman (Again)

Joe has written a new article, this time specifically about me.  This is actually the second article he has written in response to one that I wrote, but this one comes six weeks later, and I thought the issue was forgotten.  Apparently, Joe has been seething all this time, but he has completely ignored what I actually said, and instead imagined that I was attacking his book.  And that's what he's pissed off about.  But it isn't true.

Thursday, December 1, 2016

The Decline of the New Atheist Movement

• Crystal structures, as found in the file:
┌──
## SiAg3Se4 (GGA-PBE)

Data for a relaxed SiAg3Se4 crystal.

Cell lengths 5.931, 5.931, 11.745 Å; angles 90.00, 90.00, 90.00 degrees
Space group I-42m (No. 121)
Symmetry-distinct sites (fractional):
Si: 0.000 0.000 0.000 (multiplicity 2)
Ag: 0.000 0.000 0.500 (multiplicity 2)
Ag: 0.000 0.500 0.250 (multiplicity 4)
Se: 0.225 0.225 0.886 (multiplicity 8)

Results
Uncorrected formation energy (eV/atom): -0.207

=====

[1]
VASP calculation (GGA-PBE) on SrIn3NiIr after structural relaxation.

Output
total DFT energy (no corrections): -50.73 eV/cell
formation energy from the elements: -137.9 meV per atom
DOS at the Fermi energy: 6.751 states/eV per cell
spin magnetization: 0.0000 μB per atom
SG: No. 63

Cell lengths 6.375, 8.076, 7.058 Å; angles 124.90, 90.00, 90.00 degrees
Sites, in units of the cell vectors:
In: 0.500 0.747 0.000
Sr: 0.750 0.287 0.574
Ni: 0.250 0.986 0.972
Ni: 0.750 0.014 0.028
In: 0.500 0.253 0.000
In: 0.000 0.747 0.000
In: 0.750 0.801 0.602
Sr: 0.250 0.713 0.426
Ir: 0.750 0.579 0.158
Ir: 0.250 0.421 0.842
In: 0.250 0.199 0.398
In: 0.000 0.253 0.000

***

[2]
VASP calculation (GGA-PBE) on SrIn4NiIr2 after structural relaxation.

Output
total DFT energy (no corrections): -37.54 eV/cell
formation energy from the elements: -175.5 meV per atom
DOS at the Fermi energy: 6.184 states/eV per cell
spin magnetization: 0.0000 μB per atom
SG: No. 166

Cell lengths 4.540, 4.540, 10.092 Å; angles 77.00, 77.00, 60.00 degrees
Sites, in units of the cell vectors:
In: 0.595 0.595 0.216
Sr: 0.000 0.000 0.000
Ir: 0.771 0.771 0.688
In: 0.134 0.134 0.597
Ni: 0.500 0.500 0.500
In: 0.866 0.866 0.403
In: 0.405 0.405 0.784
Ir: 0.229 0.229 0.312

***

[3]
VASP calculation (GGA-PBE) on TaInNiIr after structural relaxation.

Output
total DFT energy (no corrections): -30.14 eV/cell
formation energy from the elements: -226.9 meV per atom
DOS at the Fermi energy: 5.000 states/eV per cell
spin magnetization: 0.0017 μB per atom
SG: No. 216

Cell lengths 4.491, 4.491, 4.491 Å; angles 60.00, 60.00, 60.00 degrees
Sites, in units of the cell vectors:
Ta: 0.500 0.500 0.500
In: 0.000 0.000 0.000
Ni: 0.250 0.250 0.250
Ir: 0.750 0.750 0.750

=====

# Hf3PSe (PBE, optimized geometry)
data_Hf3PSe
_symmetry_space_group_name_H-M 'P m -3 m'
_symmetry_Int_Tables_number 221
_symmetry_space_group_name_Hall '-P 4 2 3'
_cell_length_a 4.832
_cell_length_b 4.832
_cell_length_c 4.832
_cell_angle_alpha 90.00
_cell_angle_beta 90.00
_cell_angle_gamma 90.00
loop_
_atom_site_label
_atom_site_fract_x
_atom_site_fract_y
_atom_site_fract_z
Hf1 0.000 0.000 0.500
P1 0.000 0.000 0.000
Se1 0.500 0.500 0.500
# **Formation energy from raw total energies**: 0.002 eV/atom
# **DOS at the Fermi energy**: 7.51 states/eV/f.u.
# **Relative energy among the computed polymorphs**: 790 meV per atom

=====

(1)
Ba2Sr6Mg after structural relaxation, computed with PBE.

Computed properties:
└──

There has been much ballyhoo among strident religionists about the decline and fall of the so-called New Atheist movement.  This has been going on for at least six years now.  Nearly four years ago, the Catholic Herald announced that "New Atheism is Dead".  Many others have been talking about the decline of the movement, as evidenced in this Conservapedia article, or the ongoing pronouncements of Shadow To Light, where these claims form a steady drumbeat, culminating, perhaps, in an obituary for the movement. Nevertheless, I don't expect to see Mikey stop beating a dead horse anytime soon.